Audit reform has been a key topic at the Public Company Accounting Oversight Board (PCAOB) as of late, in part due to the ever-increasing investor concern of the reliability of the United States’ financial reporting system. In particular, the PCAOB is currently contemplating reform of the Auditor’s Reporting Model, the feasibility of mandatory audit firm rotation, and the possible disclosure of engagement partners and other audit participants.
Between two parts of the entry: materials data =
........
No. 1
## Er3Mg2Pd2 (PBE)

Data for Er3Mg2Pd2 after structural relaxation.

Output
Its total energy is -4.403 eV per atom. Its density of states at the Fermi level is 0.756 states/eV/atom. As for the offset from the most stable computed form: 0.014 eV/atom. The value obtained for the formation energy from the elements is -3.6 eV per formula unit. Its mass density is 7.6 Mg/m³.

Cell lengths 12.3645, 3.5378, 8.4654 Å; angles 90.00, 115.56, 90.00 degrees
Last column: nearest neighbours and their distance in Å.
Space group C2/m (No. 12)
Inequivalent atoms, fractional coordinates:
1 Er 0.0000 0.0000 0.0000 [2 per cell]  4 Pd 2.85
2 Er 0.1142 0.0000 0.4438 [4 per cell]  3 Pd 2.83-2.89
3 Mg 0.1618 0.5000 0.8261 [4 per cell]  2 Pd 2.82
4 Pd 0.1804 0.5000 0.2301 [4 per cell]  2 Mg 2.82, 5 Er 2.83-2.89



No. 2
## Er2MgPd (PBE)

Data for Er2MgPd after structural relaxation.

Output
Its total energy is -4.474 eV per atom. Its density of states at the Fermi level is 0.855 states/eV/atom. The value obtained for the formation energy from the elements is -2.0 eV per formula unit. Its mass density is 8.1 Mg/m³.

Cell lengths 3.5940, 3.5940, 7.3433 Å; angles 90.00, 90.00, 90.00 degrees
Last column: nearest neighbours and their distance in Å.
Space group P4/mmm (No. 123)
Inequivalent atoms, fractional coordinates:
1 Er 0.0000 0.0000 0.2221 [2 per cell]  4 Pd 3.02, 4 Mg 3.26, 1 Er 3.26
2 Mg 0.5000 0.5000 0.5000 [1 per cell]  8 Er 3.26, 4 Mg 3.59
3 Pd 0.5000 0.5000 0.0000 [1 per cell]  8 Er 3.02



No. 3
## PmEr2MgPd4 (PBE)

Data for PmEr2MgPd4 after structural relaxation.

Output
Its total energy is -5.351 eV per atom. Its density of states at the Fermi level is 0.647 states/eV/atom. The value obtained for the formation energy from the elements is -6.6 eV per formula unit. Its mass density is 9.4 Mg/m³.

Cell lengths 4.8583, 4.8583, 24.1554 Å; angles 90.00, 90.00, 120.00 degrees
Last column: nearest neighbours and their distance in Å.
Space group R-3m (No. 166, hexagonal axes)
Inequivalent atoms, fractional coordinates:
1 Pm 0.0000 0.0000 0.0000 [3 per cell]  8 Pd 3.03-3.04
2 Er 0.0000 0.0000 0.2440 [6 per cell]  7 Pd 2.86-2.97
3 Mg 0.0000 0.0000 0.5000 [3 per cell]  8 Pd 2.85-2.98
4 Pd 0.0000 0.0000 0.1255 [6 per cell]  4 Er 2.86-2.94, 3 Mg 2.98, 1 Pm 3.03
5 Pd 0.0000 0.0000 0.3820 [6 per cell]  1 Mg 2.85, 3 Er 2.97, 3 Pm 3.04



No. 4
## PrEr2MgPd4 (PBE)

Data for PrEr2MgPd4 after structural relaxation.

Output
Its total energy is -5.336 eV per atom. Its density of states at the Fermi level is 0.634 states/eV/atom. The value obtained for the formation energy from the elements is -6.4 eV per formula unit. Its mass density is 9.2 Mg/m³.

Cell lengths 4.8224, 4.8224, 24.9656 Å; angles 90.00, 90.00, 120.00 degrees
Last column: nearest neighbours and their distance in Å.
Space group R-3m (No. 166, hexagonal axes)
Inequivalent atoms, fractional coordinates:
1 Pr 0.0000 0.0000 0.0000 [3 per cell]  8 Pd 3.11-3.17
2 Er 0.0000 0.0000 0.2420 [6 per cell]  7 Pd 2.87-2.92
........
On September 15, 2011, the PCAOB held a Roundtable Discussion regarding the possible expansion of current auditor responsibilities in the Auditor’s Reporting. In attendance were professionals from all constituents of the business community including investors, auditors, preparers, audit committee members, as well as other business professionals.The topics up for discussion included the possible addition of an Auditor’s Discussion & Analysis, a possible required and expanded use of the emphasis paragraph in the auditor’s report, clarification of the language used in the standard auditor’s report, and possible required auditor assurance on information outside of the financial statements.
The first topic brought to the table was the possibility of adding an “Auditor’s Discussion & Analysis” (“AD&A”) section to Companies’ annual 10-K filings. This addition would give investors and other financial statement users an opportunity to view financial statements “through the eyes of the auditor”.It would also give auditors a chance to discuss their significant findings during the audit including certain risk assessments, significant changes made to the financial statements during the audit, the auditor’s assessment of management’s significant estimates, and a discussion of the quality of accounting policies and practices employed by management. It was found, in a recent survey conducted by the CFA Institute, that 86% of investors said they would welcome an AD&A section to the current financial statement format. Investors believe this additional information would provide even more transparency to the current reporting model and enhance their decision-making process.On the other hand, preparers of financial statements feel that if additional disclosure is deemed necessary by the PCAOB, more standards should be issued requiring expanded disclosure by management and not by auditors.Their view is that an auditor cannot disclose anything management could not also disclose and auditors from the roundtable discussion concur with the preparers’ view.Preparers fear the AD&A could begin as a discussion of audit findings and eventually spiral into auditor analysis of operational and financial results, potentially violating independence. Auditors seem to mirror this sentiment, expressing that management should remain the source of financial information, and the auditor remain the provider of assurance on that information. Representatives from public accounting firms also expressed concern for potential confusion of financial statement users if the auditor and management discussions conflict. Another disadvantage of an AD&A section in addition to confusion is the comparability of audit reports from different audit firms would suffer with the added subjective analysis.
=====
# Mg2Pb, relaxed, DFT GGA-PBEsol
# Formation energy from the elements in eV per formula unit: -0.18
# Total energy in eV per atom: -2.537
data_Mg2Pb
_cell_length_a 3.358
_cell_length_b 4.544
_cell_length_c 9.610
_cell_angle_alpha 90.00
_cell_angle_beta 90.00
_cell_angle_gamma 90.00
_symmetry_space_group_name_H-M 'I m m m'
_symmetry_Int_Tables_number 71
_symmetry_space_group_name_Hall '-I 2 2'
loop_
_atom_site_label
_atom_site_type_symbol
_atom_site_fract_x
_atom_site_fract_y
_atom_site_fract_z
_atom_site_occupancy
Mg1 Mg 0.000 0.000 0.166 1
Pb1 Pb 0.000 0.000 0.500 1

# MgPb, relaxed, DFT GGA-PBEsol
# Formation energy from the elements in eV per formula unit: -0.15
# Total energy in eV per atom: -2.931
data_MgPb
_cell_length_a 5.337
_cell_length_b 3.543
_cell_length_c 5.337
_cell_angle_alpha 90.00
_cell_angle_beta 90.00
_cell_angle_gamma 90.00
_symmetry_space_group_name_H-M 'P m m a'
_symmetry_Int_Tables_number 51
_symmetry_space_group_name_Hall '-P 2a 2a'
loop_
_atom_site_label
_atom_site_type_symbol
_atom_site_fract_x
_atom_site_fract_y
_atom_site_fract_z
_atom_site_occupancy
Mg1 Mg 0.250 0.000 0.230 1
Pb1 Pb 0.250 0.500 0.732 1

# Mg2Pb, relaxed, DFT GGA-PBEsol
# Formation energy from the elements in eV per formula unit: -0.06
# Total energy in eV per atom: -2.499
data_Mg2Pb
_cell_length_a 5.0780
_cell_length_b 5.0780
_cell_length_c 3.3373
_cell_angle_alpha 90.00
_cell_angle_beta 90.00
_cell_angle_gamma 120.00
_symmetry_space_group_name_H-M 'P -3 m 1'
_symmetry_Int_Tables_number 164
_symmetry_space_group_name_Hall '-P 3 2"'
loop_
_atom_site_label
_atom_site_type_symbol
_atom_site_fract_x
_atom_site_fract_y
_atom_site_fract_z
_atom_site_occupancy
Mg1 Mg 0.3333 0.6667 0.2159 1
Pb1 Pb 0.0000 0.0000 0.5000 1

# MgPb5, relaxed, DFT GGA-PBEsol
# Formation energy from the elements in eV per formula unit: 0.03
# Total energy in eV per atom: -3.613
data_MgPb5
_cell_length_a 5.613
_cell_length_b 3.455
_cell_length_c 17.690
_cell_angle_alpha 90.00
_cell_angle_beta 90.00
_cell_angle_gamma 90.00
_symmetry_space_group_name_H-M 'A m m 2'
_symmetry_Int_Tables_number 38
_symmetry_space_group_name_Hall 'A 2 -2'
loop_
_atom_site_label
_atom_site_type_symbol
_atom_site_fract_x
_atom_site_fract_y
_atom_site_fract_z
_atom_site_occupancy
Mg1 Mg 0.000 0.000 0.000 1
Pb1 Pb 0.000 0.000 0.339 1
Pb2 Pb 0.000 0.000 0.661 1
Pb3 Pb 0.500 0.000 0.112 1
Pb4 Pb 0.500 0.000 0.450 1
Pb5 Pb 0.500 0.000 0.779 1

# Mg3Pb, relaxed, DFT GGA-PBEsol
# Formation energy from the elements in eV per formula unit: -0.19
# Total energy in eV per atom: -2.336
data_Mg3Pb
_cell_length_a 6.423
_cell_length_b 8.859
_cell_length_c 3.332
_cell_angle_alpha 90.00
_cell_angle_beta 90.00
_cell_angle_gamma 90.00
_symmetry_space_group_name_H-M 'C m m m'
_symmetry_Int_Tables_number 65
_symmetry_space_group_name_Hall '-C 2 2'
loop_
_atom_site_label
_atom_site_type_symbol
_atom_site_fract_x
_atom_site_fract_y
_atom_site_fract_z
_atom_site_occupancy
Mg1 Mg 0.000 0.000 0.000 1
Mg2 Mg 0.250 0.250 0.500 1
=====
The page goes on >
Similar to the Auditor’s Discussion & Analysis section, the PCAOB also raised the possibility of a required emphasis paragraph in the standard audit report.This additional paragraph would include discussion of all significant areas encountered during audit, including discussion of significant management judgments and estimates.In addition to discussing the key areas, the auditor could also be required to discuss key procedures performed to address these areas. Opponents of the emphasis paragraph, which include preparers and auditors, expressed concern regarding the understandability of audit terms by a financial statement user.The concern is if procedures are discussed, is it reasonable to assume that a knowledgeable user will understand the language and topics discussed by the auditor, or will this discussion cause more confusion than transparency?However, auditors and preparers at the roundtable seemed more in favor of the emphasis paragraph in lieu of an AD&A section. Prepares and auditors believe the AD&A section would give opportunity for the traditional roles to become blurred.With the emphasis paragraph, you are giving investors more insight but without going into extensive detail on a myriad of topics. Another advantage of the emphasis paragraph from the auditors’ point of view is the sizable difference in cost and time to prepare this paragraph versus an AD&A section.
## Between two parts of the entry: crystal structures
____________
# KNdSnWO6 (PBE with a Hubbard U, optimized geometry)
data_KNdSnWO6
_chemical_formula_sum 'K4 Nd4 Sn4 W4 O24'
_symmetry_space_group_name_H-M 'F -4 3 m'
_symmetry_Int_Tables_number 216
_symmetry_space_group_name_Hall 'F -4 2 3'
_cell_length_a 8.556
_cell_length_b 8.556
_cell_length_c 8.556
_cell_angle_alpha 90.00
_cell_angle_beta 90.00
_cell_angle_gamma 90.00
loop_
_atom_site_label
_atom_site_type_symbol
_atom_site_fract_x
_atom_site_fract_y
_atom_site_fract_z
K1 K 0.000 0.000 0.000
Nd1 Nd 0.250 0.250 0.250
Sn1 Sn 0.000 0.000 0.500
W1 W 0.250 0.250 0.750
O1 O 0.022 0.250 0.750
# DOS(E_F)   0.0000 states/eV/atom
# Crystal system   cubic
# Raw total energy   -6.791 eV/atom
# Density   6.17 g/cm3
# Total moment   0.0000 μB/atom

~~~~~

(1)
Crystalline MnBi2Rh2 at its relaxed geometry. Source: Alexandria via LeMat-Bulk, functional PBE-GGA.

Output
Relative energy among the computed polymorphs: 0.0 meV/atom
Energy of formation from the pure elements: 435 meV/atom

Lattice parameters (Å, degrees): 6.877 6.877 4.136 90.00 90.00 90.00
Space group P4/mbm (No. 127)
Inequivalent atoms, fractional coordinates:
Mn (0.000, 0.000, 0.000)
Bi (0.171, 0.329, 0.500)
Rh (0.141, 0.641, 0.000)

***

(2)
Crystalline MnBi2Rh2 at its relaxed geometry. Source: Alexandria via LeMat-Bulk, functional PBE-GGA.

Output
Relative energy among the computed polymorphs: 265.0 meV/atom
Energy of formation from the pure elements: 700 meV/atom

Lattice parameters (Å, degrees): 3.562 3.562 16.091 90.00 90.00 90.00
Space group I4/mmm (No. 139)
Inequivalent atoms, fractional coordinates:
Mn (0.000, 0.000, 0.000)
Bi (0.000, 0.000, 0.398)
Rh (0.000, 0.500, 0.250)

***

(3)
Crystalline Mn3BiRh at its relaxed geometry. Source: Alexandria via LeMat-Bulk, functional PBE-GGA.

Output
Relative energy among the computed polymorphs: 0.0 meV/atom
Energy of formation from the pure elements: 688 meV/atom

Lattice parameters (Å, degrees): 4.831 4.831 4.831 90.00 90.00 90.00
Space group Pm-3m (No. 221)
Inequivalent atoms, fractional coordinates:
Mn (0.000, 0.000, 0.500)
Bi (0.500, 0.500, 0.500)
Rh (0.000, 0.000, 0.000)

***

(4)
Crystalline MnBiRh3 at its relaxed geometry. Source: Alexandria via LeMat-Bulk, functional PBE-GGA.

Output
Relative energy among the computed polymorphs: 0.0 meV/atom
Energy of formation from the pure elements: 681 meV/atom

Lattice parameters (Å, degrees): 4.524 4.524 4.524 90.00 90.00 90.00
Space group Pm-3m (No. 221)
Inequivalent atoms, fractional coordinates:
Mn (0.000, 0.000, 0.000)
Bi (0.500, 0.500, 0.500)
Rh (0.000, 0.000, 0.500)

***

(5)
Crystalline Mn5Bi4Rh2 at its relaxed geometry. Source: Alexandria via LeMat-Bulk, functional PBE-GGA.

Output
Energy of formation from the pure elements: 84 meV/atom

Lattice parameters (Å, degrees): 12.273 12.273 12.273 90.00 90.00 90.00
Space group F-43m (No. 216)
Inequivalent atoms, fractional coordinates:
Mn (0.000, 0.000, 0.247)
Mn (0.160, 0.160, 0.840)
Bi (0.000, 0.000, 0.000)
Bi (0.000, 0.000, 0.500)
Bi (0.039, 0.250, 0.250)
____________
## Back to the entry
In relation to the concern of adding an emphasis paragraph, comprehension of the language used in the standard auditor’s report is another primary concern brought up by the PCAOB. Items up for discussion include terms like “reasonable assurance”, auditor’s responsibility for fraud, auditor’s responsibility for financial disclosures, management’s responsibility for the preparation of the financial statements, auditor’s responsibility for information outside the financial statements, and auditor independence. One weakness of the current report language brought up at the roundtable was the point that auditors do provide assurance on information in the footnotes but that the Standard Auditor’s Report only names the financial statement titles and does not expressly name the footnotes as part of the financial statements audited. Conversely, the report does not mention anything regarding assurance on the Management Discussion & Analysis (MD&A) section, in which the auditor does not audit but only reviews for material discrepancies from the financial statements.Because neither the footnotes to the financial statements nor the MD&A section are expressly mentioned in the auditor’s report, users could mistakenly have a false sense of assurance on such information if they are under the impressions that that both sections are audited along with the financial statements. The overall belief at the roundtable discussion is that the benefits to users from these simple clarifications would greatly outweigh any additional costs and time incurred to implement the changes.
The last topic up for discussion at the PCAOB roundtable was auditor assurance responsibilities on other information.As discussed in the previous paragraph, it is possible users of financial statements could be misguided as to the level of assurance provided by auditors on other information outside the financial statements.The PCAOB is proposing required assurance on other information such as MD&A non-GAAP information, and earnings reports released by companies.The purpose of this additional assurance would be to provide users with a higher level of confidence on all information provided by management. Currently, auditors are only responsible to review the MD&A section and to consider whether the information discussed is materially inconsistent with the financial statements. Proponents of additional assurance on MD&A believe that auditors should be more involved in this section to make sure liquidity analysis and other similar elements are included in order to improve the quality of the information provided. An interesting point brought forth by an investor at the roundtable is the importance of earnings releases to investor decisions. Investors believe that earnings releases are more extensive, more timely, and ultimately more influential in investor decision-making than a companies’ annual 10-K reports. Because of the significance of earnings reports to the investor community, the question was raised as to why so much focus is placed on the 10-K report and yet no assurance is required for earnings releases. Auditors are receptive to performing the extra procedures to provide this additional assurance, but there is a fear that they will eventually be asked to offer expertise on a variety of information and the role of the auditor could morph into an “uber monitor” of companies, providing assurance on everything to an excessive degree, which neither auditors nor management want.
All comments on the Concept Release regarding the Auditor’s Reporting Model were due September 30 and no final decisions have been made as of the date of this article.
In addition to the discussion of expanding the role of the auditor in financial reporting, the PCAOB released a Concept Statement in August to discuss proposed reform regarding audit firm rotation. The driving factor of this proposed reform is the constant request from investors and users of financial statements to enhance auditor independence, objectivity, and professional skepticism in financial reporting. Major downfalls of mandatory audit rotation identified in a General Accounting Office (GAO) study in November 2003 were the additional costs and the loss of knowledge of the public company’s auditor. At that time, the benefits were too unpredictable to suggest mandatory rotation reform so the GAO decided to monitor the effects of the Sarbanes-Oxley Act and revisit audit firm rotation in the future. The PCAOB has now decided to revisit this proposed reform.When considering this reform, a key question the PCAOB is contemplating is whether audit deficiencies are mainly due to independence issues or can be attributed to other issues.One suggestion included in the concept release was for audit committees to become more vigilant in identifying when the auditor is becoming too close and to regularly evaluate and consider whether auditor change is necessary. A potential model for audit firm rotation is not yet settled and the PCAOB is currently welcoming comments in order to evaluate the possible need for this reform. A recent article in the CPA Journal discussed the possible inadvertent downfalls of mandatory audit reform which include management taking advantage of new and unfamiliar auditors, increased costs and inefficiencies, and a possible decrease in audit quality due to lack of motivation on the audit firm side from knowing they will eventually lose the client regardless of the quality of the audit work performed. Audit firms might result to performing a “good enough” quality audit in order to save costs in response to the increased cost of constantly engaging new clients. In a recent article in Accounting Today, Jeffrey Weiner, the managing partner of accounting firm Marcum LLP, expressed his views on the possible reform in the following statement
“As one of the nation’s leading SEC audit firms serving middle-market companies, Marcum is concerned about the PCAOB’s announcement that they intend to revisit mandatory auditor rotation.There are not many PCAOB-registered audit firms qualified to meet the unique needs and partner-level attention required by America’s mid- and large-cap companies. Mandating ‘term limits’ for audit firms will lead to higher upfront costs for companies due to the time required to screen new firms as well as for the firm selected to get up to speed with a company’s operations/financial systems and to create new audit files. In addition, for the largest SEC registrants, the independence issue will reduce the number of firms available for rotation. There may not really be as many choices of firms as the numbers might suggest. Marcum believes that any effort at mandating audit firm rotation should undergo a thorough cost-benefit analysis weighing the benefits of perceived greater independence and objectivity against the costs of switching.”
The most recent PCAOB proposal was released on October 11 regarding the possible required disclosure of engagement partners and other audit participants in the audit report. This proposed amendment would require the disclosure of names of engagement partners and other participants in audit engagements in the audit report. Other participants disclosed would include other audit firms and other parties not employed by the audit firm, who participated in the engagement. The purpose of this additional disclosure is again, greater transparency for financial statement users.The board is currently accepting comments on this proposal through January 9, 2012.
The future of the auditor’s role remains to be seen. However, the desire for greater transparency and more assurance, expressed by investors and users of financial statements, suggest a future of more standards, more disclosures, and more auditor responsibility.